As to be expected, not long after I return home from California we are hit with a heavy snowstorm here in Colorado. The snow started early in the evening yesterday, and it continued through much of the day today. This morning I had to clear about 8 inches of snow off my car before I could start my drive to work. Needless to say, the roads were tough to drive on at times. The surface streets and on- and off-ramps were the worst parts of the drive. And, naturally, you still have the foolish drivers who like to speed and weave in and out of traffic in spite of the snow and ice. They can do as they will, and tough poo poo if they end up in a ditch with multiple fractures and head injuries. Serves them right. I just prefer to take it slow and easy. You can pass me if you want. I like my car, and I like my life, so I'm not going to risk anything.
The drive and the cold might be bad, but it is beautiful. Here is a view from my apartment...

And just in case it gets cold...
It has been a long time since I have last written something. Apologies to my faithful readers. I took a little surprise vacation home for Thanksgiving. I had a wonderful time. It is always great to spend time with the family and the puppies. Of course, having such a wonderful time off makes it all the more difficult to wake up for work the next morning. I spent most of the morning in a daze and I was tired after a late flight. If I were smart, I would have taken an extra day off today. But instead of being smart, I decided to be a good employee and come back to work with the rest of the office. I don't feel so bad about being in a daze all day because everyone else in the office was pretty much in the same state of mind. Most people were so tired that they could barely put a sentence together, so I don't feel so bad. Needless to say, I took things easy today and tried to ease back into work. This meant that I spent most of my time answering e-mail, returning calls, and reorganizing my projects. I was glad that an hour of the day was dedicated to an interview. We have an open position in our department, so I helped with the interview. Needless to say, I will be happy when we officially hire him! :)
I suppose that I will have to do "real" work tomorrow. Or maybe I can plan my Christmas vacation. I think I might spend the rest of the evening tidying up my apartment, paying some bills, and drinking a glass of cognac...not necessarily in that order...
Drowsy and drifting
Clouded and confused
Is it a dream
A darkened room
Lying atop cool cotton sheets
Skin, soft and smooth
Hot flesh pressed and melting together
Lips and kisses, hands and embraces
Moving and lingering and straying at a dizzying pace
Impatient passion
Insatiable hunger
Unquenchable desire
Unlimited ecstasy
--Well, it's not much of a poem. It doesn't even have a real title. It is certainly what I am feeling right now and what I am thinking. For some reason, I just feel tongue tied. I know what I want to say, but I just can't seem to say it. It is not quite good enough for me. I sound cliche, and if you read my other poetry it also sound repetitive. I just wanted to write it down before it slipped my mind completely. I was fortunate to have some great writing professors at the junior college I went to. They taught me that the most important thing in writing is to just write. Just put your thoughts on the page. It may not be good. It may not be what you intend or want. But the thoughts are there, and eventually you can work with them. Maybe this is just a work in progress. Maybe inspiration, somehow, in some form, will descend upon me. Until then...
Bad People: It seems as if some bad people are prowling around our office building. Two co-workers have noticed that their cars have been keyed in our office parking lot. Who the heck scratches up cars that are parked right next to an office building? I think my car is okay, but I need to check it tomorrow morning when it's not dark out. Fortunately, though, I park my car where I can see it from my office window. And since I obviously have an undiagnosed case of ADD and have a tendency to stare out the window and daydream when I should be working, I would probably see someone if they were lurking around my car. I really hope that no one does any damage to my car. After all, I don't think Santa will bring me a nice present this year if he were to find out that I broke someone's legs for messing with my car...
Wind: The weather really cooled off over the weekend, and yesterday there was a good rainfall that was almost snow. What is bad right now are the winds. When I went out for lunch this afternoon I was nearly blown off my feet. But that happens when you are little like me. It is fun, though, to try to dodge tumbleweeds that roll across the roads.
Sunsets: The winds may not have been all that fun, but the sunset this evening was absolutely beautiful. I just can't explain how beautiful it is to see the sun set behind the mountains when they are dusted with snow. I love watching the sun set into the ocean, but this is beautiful too. Some people don't like this time of year because it gets dark so early. I kind of like it. There is something cozy and romantic about it.
And speaking of cozy and romantic, I'm sure there is a poem in me somewhere, I'm just waiting for it to come out. Be patient, faithful readers...
Construction: there has been a lot of construction in my area these days. I guess the city wants to finish their construction before the real snow starts to fall. One thing still confuses me, though. I keep wondering why the city of Boulder tends to do their major construction when school starts or during the peak of the semester. This is always when the most students are around and when there are the most cars on the road. For some odd reason, there is hardly any construction during the summer when the city is much quieter.
-- Misplaced quantum chemistry results --
-- begin --
The following is a quantum chemistry calculation of a cluster of 2 separate species, C4H8I2 in total, from OMol25.

Values from the calculation:
Gap between HOMO and LUMO   9.37 eV
Structure (SMILES)   C=C(C)I.CI
HOMO energy   -9.15 eV

```
14
C4H8I2 | OMol25 | ωB97M-V with the def2-TZVPD basis set
C -1.01317 1.08155 0.26868
C 0.04209 0.78710 0.95821
C 0.19529 -0.22116 2.09357
I 1.85066 1.87176 0.57199
H -2.03592 0.84775 0.37047
H -0.95155 1.65779 -0.69181
H 1.15027 -0.71747 1.88597
H -0.64164 -0.85279 2.20080
H 0.57598 0.32965 2.90891
C 0.14833 -0.78210 -2.33078
I 0.60803 -2.35848 -0.80001
H 0.25195 0.16023 -1.73692
H -0.98848 -0.83038 -2.52716
H 0.80814 -0.97343 -3.17192
```

=====

The following is a quantum chemistry calculation of a structure of composition C4H8IN2, from OMol25.

Values from the calculation:
Net charge   +1
Gap between HOMO and LUMO (alpha / beta)   7.19 / 7.16 eV
HOMO energy (alpha / beta)   -11.71 / -11.69 eV

```
15
C4H8IN2 | OMol25 | ωB97M-V with the def2-TZVPD basis set
C 1.45243 0.58763 0.00935
C -0.79111 -0.22041 0.56237
C 0.88139 -0.49881 -2.02957
C -1.88506 -0.20793 1.47694
N 1.76457 -0.09853 -1.12379
N 0.27284 0.64766 0.60187
I -0.97136 0.30469 -2.23468
H 2.20400 1.19018 0.54409
H -0.66280 -1.12172 0.11208
H 1.20680 -1.14802 -2.97198
H -1.66112 0.29219 2.43987
H -2.15568 -1.27387 1.71532
H -2.74172 0.30088 0.99925
H 2.79177 -0.05441 -1.46575
H 0.29506 1.30046 1.36462
```

=====

The following is a quantum chemistry calculation of a structure of composition C4H8IN2, from OMol25.

Values from the calculation:
Net charge   +1
Gap between HOMO and LUMO   8.14 eV
HOMO energy   -13.50 eV

```
15
C4H8IN2 | OMol25 | ωB97M-V with the def2-TZVPD basis set
C -1.00973 -0.95158 0.14620
C 0.44299 0.95325 1.50541
C 0.22165 -0.12866 0.46286
C 0.29265 -0.47075 -1.95302
N -0.37144 -0.04678 -0.77786
N -0.05983 1.09657 2.68264
I 2.09119 -1.37221 1.00331
H -0.69314 -2.04363 0.08408
H -1.94792 -0.61361 0.60027
H 1.42726 1.78688 0.91068
H 1.17804 0.19170 -2.18384
H 0.63102 -1.68548 -1.98475
H -0.41793 -0.44478 -2.90230
H -0.86971 0.47903 2.71194
H 0.05915 1.67128 3.45078
```

=====

The records above give, respectively, relative energy (zero: lowest compared OMol25 entry of this formula, charge and spin) values of 168.59, 329.74, 445.23 kJ/mol.
The records above give, respectively, largest force on an atom values of 3.61, 3.92, 6.79 eV/A.

* * * * *

The following is a DFT calculation (wB97M-V/def2-TZVPD) of a molecular structure, C13H10N2O4Sr.

Geometry as XYZ:
```
30
Properties=species:S:1:pos:R:3:lowdin_charge:R:1
Sr -0.00549 0.01900 -0.00609 1.345
O -2.76045 -1.53871 0.53002 0.243
C -1.76213 -1.02222 0.35038 -0.163
C 1.64082 1.19266 -0.40236 -0.183
O 2.51051 1.88850 -0.63637 0.246
C -0.01593 -0.64657 -1.96818 -0.160
O -0.04619 -0.96956 -3.05752 0.251
C 0.04956 0.59811 1.98285 -0.159
O 0.05391 0.95731 3.06116 0.252
C 2.55928 -4.26241 1.36020 -0.127
H 2.14318 -4.40588 2.38917 0.070
H 2.11438 -4.96589 0.61191 0.070
-- stop --
Stupid People: stupid people tend to be at their most stupid when there is construction. When a big orange sign says that the lane is about to close and that you need to merge into another lane, don't look surprised when you run out of road. Don't be surprised when you suddenly have to merge. And, of all things, don't be that idiot that speeds past the traffic and tries to cut in at the last minute. And, people, when traffic starts to back up, don't enter the intersection unless you know you can make it through without blocking traffic. How many times do I have to wait through a green light because you idiots keep trying to go through the intersection when you clearly shouldn't? You look like an idiot because you are parked in the middle of the intersection with nowhere to go and you look like an even bigger idiot because other people are upset with you because you are blocking their way.
Circus Peanuts: I just looked under the ingredients on a bag of circus peanuts. It contains that warning that the product "may contain milk and peanuts." Peanuts? What? Are they kidding? Are there really peanuts in circus peanuts? I've had plenty of circus peanuts and nothing in a circus peanut comes even close to resembling a real peanut.
The Weather: The weather has been odd lately. We are already in our second week of November and the temperature today was in the 70s. I suppose this doesn't mean much in Colorado, because there is always the chance that tomorrow we can have a blizzard that drops three or four feet on the state within a few hours. The weather would be perfect if I were sitting on a patio having a few beers with some friends. It might be hard to believe, but I wish there was a little more winter in the air...but not too much winter. I like chilly weather, but I don't want it to be too cold. I don't mind a decent snowfall, but I definitely don't want to deal with ice. I guess I do like a certain crispness in the air. I have a childlike fondness for seeing the steam from my breath, and there is something cozy about bundling up in a warm jacket. I like the smell of the cold air and it is made even better if you can smell a fireplace burning in the distance. And it is okay to be cold when you have a good glass of wine or cognac in your hand.
Current mood: annoyed with construction and stupid people, perplexed by circus peanuts, calmed by the weather.
Current drink: root beer...too early for cognac
Current food: circus peanuts
Current music: Beth Waters This Little Piggy
When you live in Boulder, you are bound to encounter a lot of pedestrian and bicycle traffic. The closer you are to campus, the more people and bicycles you'll find. By now, I've gotten use to it when I'm flying around in my car. I know where the students tend to walk so I know where and when to slow down. I'm fine with the amount of people, but what I am not fine with are the people who think they own the road or who don't pay attention to where they are going. Pedestrians and cyclists have the right of way and I'll happily grant them that. I just wish more of them would look at the traffic and cars when they decide to cross the street. I can't even begin to count how many people just cross the street without the slightest glance to the left or right. Maybe I grew up in a different generation, but when I was growing up my parents taught me to look both ways before crossing the street. They also taught me that I shouldn't cross the street when a car is approaching. You can never trust the driver. When kids these days cross the street without looking both ways, are they just dumb or are their parents dumb because they didn't teach their kids to look both ways? If the people are crossing the street in a crosswalk, then I will happily slow down or stop. If you're jaywalking, well, then you better just walk faster than I can drive. And remember I'm from California, so I can drive fast!
There is, however, something that annoys me more than people who cross the street without looking both ways. What really annoys me is when you stop for a pedestrian or a bicyclist and they don't acknowledge you with a little thank you. When I stop to let a group of people cross the street, I kind of expect them to maybe look at me, smile at me, or give me a little wave of thanks. Again, this is something my parents taught me, so maybe I'm just expecting everyone else to do the same. Some people are really polite and do this. Others just walk on by. These, of course, are the ones I want to just run over.
This is all annoying and it makes me cranky. It just makes me wonder what happened to common sense and common courtesy. Maybe I just expect too much.
Current drink: Rutherford Hill 2002 Napa Valley Merlot